With the city’s system for checking the cleanliness ofestablishments selling food not getting an A rating from localbusinesses, the City Council has launched a survey to determine theissues, prior to holding a hearing to discuss the food safetyinspection process resulting in the letter grades that are placedin every restaurant’s window.
The letter grading program – which assigns As through Cs to therestaurants, bars, nightclubs, retail bakeries and fixed-site foodstands that are inspected, based on the number of violations thatare observed — began in July 2010 as an initiative of theDepartment of Health (DOH), allegedly with the consumer inmind.
The program mandates that establishments share their score withpatrons. Establishment owners who disagree with their letter gradescan contest them; this results in a Grade Pending sign being postedin the store window. Restaurants which do not earn a minimum Cgrade are closed by DOH, according to information on the agency’swebsite.
A system of inspection was already in place prior to July, butDOH contends that the addition of the letter grades madeunderstanding the restaurants’ rankings simpler and more visible –without requiring too much homework from hungry diners decidingwhere to eat.
However, the inspections have elicited criticism from somerestaurant owners and managers, most of whom were unwilling to goon record, saying they were afraid that the Health Department wouldshow up at their establishments and find violations because ofcomments made.
One self-proclaimed local Bay Ridge restaurateur of 25 years,whose eatery got an A rating, contended, [The] system is veryerratic and unfair. I believe the Board of Health is needed in NewYork City; however, the inconsistency [with the regulations], in abad economy, will be the demise of restaurants.
A manager at a Third Avenue take-out place blamed the pooreconomy for the increasing inconsistency and frequency ofinspection visits that he has observed, commenting, The city ispoor so the inspections serve as a way of taking money from smallbusiness. They [the inspectors] come often. It was once a year andnow five or six times a year. They find some problem and make youpay.
A fine accompanies every violation that is found, and theamounts have been multiplying, say several commenters to the paper,causing concern that the real purpose of the system is to createrevenue for the city.
Arlene Rutuelo, owner of Nordic Delicacies, said, For me, Ilike the grading system as a consumer. I have an issue with theHealth Department itself. [The rules] are burdensome and [wesimply] cannot comply with some of them or we would lose business.I applaud the City Council for taking the issue up.
The following is a simulated XRD peak list of MnAgHgF6. It was derived from a structure optimized by DFT (PBE+U), using Cu Kα (weighted mean of Kα1 and Kα2).
Peak positions follow from Bragg's law for the DFT cell and can differ from measured ones.

Top 12 peaks for 2θ from 10° to 80°, sorted by position:
19.19°, I 309, hkl 1 0 1
24.48°, I 1000, hkl 1 1 0
29.81°, I 119, hkl 1 1 2
30.73°, I 887, hkl 1 0 3
34.89°, I 206, hkl 2 0 0
40.12°, I 145, hkl 2 1 1
47.17°, I 708, hkl 2 1 3
50.17°, I 189, hkl 2 2 0
56.59°, I 160, hkl 3 1 0
58.10°, I 174, hkl 1 1 6
59.99°, I 208, hkl 3 0 3
71.31°, I 144, hkl 3 2 3

Atomic structure:
```
data_MnAgHgF6
_chemical_formula_sum 'Mn2 Ag2 Hg2 F12'
_cell_length_a 5.143
_cell_length_b 5.143
_cell_length_c 10.588
_cell_angle_alpha 90.00
_cell_angle_beta 90.00
_cell_angle_gamma 90.00
_space_group_name_H-M_alt 'P 42 n m'
_space_group_IT_number 102
loop_
_space_group_symop_operation_xyz
'x,y,z'
'-y+1/2,x+1/2,z+1/2'
'-x,-y,z'
'y+1/2,-x+1/2,z+1/2'
'-x+1/2,y+1/2,z+1/2'
'y,x,z'
'x+1/2,-y+1/2,z+1/2'
'-y,-x,z'
loop_
_atom_site_label
_atom_site_type_symbol
_atom_site_fract_x
_atom_site_fract_y
_atom_site_fract_z
Mn1 Mn 0.000 0.000 0.000
Ag1 Ag 0.000 0.000 0.662
Hg1 Hg 0.000 0.000 0.334
F1 F 0.184 0.184 0.147
F2 F 0.192 0.192 0.858
F3 F 0.240 0.240 0.498
```


(1)
Calculated X-ray diffraction stick pattern of Pr3ZnIn3 for CuKα, from a structure optimized by DFT (GGA-PBE).
Intensities are scaled so that the largest is 100.

Peak list (8 most intense, 10° ≤ 2θ ≤ 90°, in order of rising 2θ)
2theta  I (rel.)
29.15  30
29.78  100
29.84  27
31.00  43
34.22  23
36.15  77
37.62  51
53.82  25

```
14
Lattice="5.778 -2.391 0.000 5.778 2.391 0.000 -4.966 0.000 14.584" Properties=species:S:1:pos:R:3 pbc="T T T"
Pr -1.365 0.000 5.662
Pr -3.469 0.000 13.349
Pr 1.741 0.000 3.231
Pr 4.849 0.000 11.353
Pr 10.059 0.000 1.235
Pr 7.955 0.000 8.922
Zn -0.128 0.000 8.886
Zn 6.718 0.000 5.698
In 1.961 0.000 6.605
In -0.209 0.000 13.536
In 1.540 0.000 11.090
In 5.050 0.000 3.493
In 6.799 0.000 1.047
In 4.629 0.000 7.978
```

(2)
Calculated X-ray diffraction stick pattern of NaCeBe2F8 for CuKα, from a structure optimized by DFT (GGA-PBE).
Intensities are scaled so that the largest is 100.

Peak list (8 most intense, 10° ≤ 2θ ≤ 90°, in order of rising 2θ)
2theta  I (rel.)
15.37  45
19.76  100
21.69  60
28.18  70
33.36  49
39.07  40
40.14  38
46.20  68

```
12
Lattice="2.686 1.551 5.763 -2.686 1.551 5.763 0.000 -3.102 5.763" Properties=species:S:1:pos:R:3 pbc="T T T"
Na 0.000 0.000 0.000
Ce 0.000 0.000 8.645
Be 0.000 0.000 4.596
Be 0.000 0.000 12.694
F -1.227 -1.780 7.480
F -2.155 0.173 9.811
F 0.000 0.000 6.125
F -0.928 1.953 7.480
F 0.928 -1.953 9.811
F 0.000 0.000 11.165
F 2.155 -0.173 7.480
F 1.227 1.780 9.811
```


For Li10Mn3Cr3Co2O16, a GGA+U-relaxed structure gives the computed powder X-ray diffraction pattern in this record (Cu Kα X-rays).

Principal peaks in the range 2θ from 15° to 90°, by intensity:
two_theta  I/Imax  index
17.98  100.0  0 0 2
Councilmember Vincent Gentile has high hopes for the survey andits results, remarking, This survey will hopefully get the realstory.
When this reporter asked Gentile how he felt about ownersfearing their honesty would land them in hot water with inspectors,he had this to say, That’s a shame that intimidation, retaliationand retribution is even a thought [when it comes to thisprocess].
-- begin --
# PrPd5
Simulated powder diffraction line list, Cu Kα. Input: a cell relaxed with GGA-PBE.
Peak positions follow from Bragg's law for the DFT cell and can differ from measured ones.

Peak list (8 most intense, 10 to 90 degrees two-theta, by angle)
2θ (°)	Rel. int.
36.46	38.0
38.10	33.4
40.15	100.0
45.75	19.8
63.08	22.0
70.24	18.7
76.13	25.1
77.46	14.0

Atomic structure:
Unit cell a=5.1055 b=5.1055 c=9.4473 alpha=90.00 beta=90.00 gamma=120.00
Space group P6_322 (No. 182)
Symmetry-distinct sites (fractional):
Pr1 0.3333 0.6667 0.2500 x2
Pd1 0.0000 0.0000 0.2500 x2
Pd2 0.0000 0.3221 0.5000 x6
Pd3 0.3333 0.6667 0.7500 x2

# Pr6Pd23
Simulated powder diffraction line list, Cu Kα. Input: a cell relaxed with GGA-PBE.
Peak positions follow from Bragg's law for the DFT cell and can differ from measured ones.

Peak list (8 most intense, 10 to 90 degrees two-theta, by angle)
2θ (°)	Rel. int.
33.65	13.7
35.75	37.6
39.05	100.0
40.91	17.5
43.88	11.7
70.73	21.6
72.00	10.9
83.88	9.5

Atomic structure:
Unit cell a=13.050 b=13.050 c=13.050 alpha=90.00 beta=90.00 gamma=90.00
Space group Fm-3m (No. 225)
Symmetry-distinct sites (fractional):
Pr1 0.000 0.000 0.223 x24
Pd1 0.000 0.000 0.500 x4
Pd2 0.000 0.250 0.250 x24
Pd3 0.120 0.120 0.380 x32
Pd4 0.170 0.170 0.170 x32

# Pr5Pd3
Simulated powder diffraction line list, Cu Kα. Input: a cell relaxed with GGA-PBE.
Peak positions follow from Bragg's law for the DFT cell and can differ from measured ones.

Peak list (8 most intense, 10 to 90 degrees two-theta, by angle)
2θ (°)	Rel. int.
30.46	14.5
31.68	100.0
34.40	31.6
35.33	53.5
50.95	13.0
55.44	13.9
65.74	15.7
65.86	13.3

Atomic structure:
Unit cell a=8.033 b=8.033 c=13.709 alpha=90.00 beta=90.00 gamma=90.00
Space group I4/mcm (No. 140)
Symmetry-distinct sites (fractional):
Pr1 0.000 0.000 0.000 x4
Pr2 0.165 0.335 0.143 x16
Pd1 0.000 0.000 0.250 x4
Pd2 0.128 0.372 0.500 x8

# PrPd6
Simulated powder diffraction line list, Cu Kα. Input: a cell relaxed with GGA-PBE.
Peak positions follow from Bragg's law for the DFT cell and can differ from measured ones.

Peak list (8 most intense, 10 to 90 degrees two-theta, by angle)
2θ (°)	Rel. int.
33.33	36.6
35.12	82.6
35.82	100.0
36.49	75.4
39.25	36.2
40.19	52.9
41.84	54.0
43.40	58.4

Atomic structure:
Unit cell a=8.818 b=5.376 c=10.680 alpha=90.00 beta=90.00 gamma=90.00
Space group Pnma (No. 62)
Symmetry-distinct sites (fractional):
Pr1 0.246 0.250 0.059 x4
Pd1 0.060 0.750 0.075 x4
Pd2 0.061 0.006 0.301 x8
Pd3 0.107 0.250 0.520 x4
Pd4 0.162 0.750 0.839 x4
Pd5 0.185 0.250 0.770 x4

# PrPd2Pt4
Simulated powder diffraction line list, Cu Kα. Input: a cell relaxed with GGA-PBE.
Peak positions follow from Bragg's law for the DFT cell and can differ from measured ones.

Peak list (8 most intense, 10 to 90 degrees two-theta, by angle)
2θ (°)	Rel. int.
33.50	46.9
33.68	90.7
37.07	100.0
38.43	53.9
42.92	99.5
43.05	94.9
66.55	26.4
76.98	29.0

Atomic structure:
Unit cell a=8.688 b=6.855 c=5.349 alpha=90.00 beta=127.80 gamma=90.00
-- stop --
The calculated crystals stop here >
The system is intended to benefit consumers, said DOH. In astatement made to the newspaper, a spokesperson for DOH remarked,The dining public’s response to the letter grading program isoverwhelmingly positive. A poll conducted by Baruch College thissummer[www.nyc.gov/html/doh/downloads/pdf/rii/restaurant-grading-1-year-report.pdf]showed 90 percent of New Yorkers approve of the letter gradingsystem. The program is not punitive; its goal is to ensure thesafest dining experience possible for New Yorkers and visitorsalike.
The safety of diners is a top priority for most owners as well.No owner wants to make customers sick or poison them, assuredRutuelo. Despite this common goal, restaurateurs interviewed agreedthat the program is flawed and standards vary from inspector toinspector.
The following is a computed powder diffractogram of SrTl5In. It was derived from a cell relaxed with GGA-PBE, using Cu Kα (weighted mean of Kα1 and Kα2).

Principal peaks in the range 10° ≤ 2θ ≤ 90°, in order of falling intensity:
(1 1 2), 2θ = 32.22°, intensity 100
(2 0 0), 2θ = 35.50°, intensity 45
(3 1 2), 2θ = 61.69°, intensity 32
(1 1 1), 2θ = 26.88°, intensity 23
(2 2 0), 2θ = 51.08°, intensity 16
(2 0 4), 2θ = 55.26°, intensity 14
(2 0 3), 2θ = 47.41°, intensity 13
(1 1 5), 2θ = 58.30°, intensity 12

Structure:
a = 5.0571 Å, b = 5.0571 Å, c = 8.8254 Å
α = 90.00°, β = 90.00°, γ = 90.00°
Space group P4/mmm (No. 123)
Inequivalent atoms, fractional coordinates:
1 Sr 0.0000 0.0000 0.0000 [1 per cell]
2 Tl 0.0000 0.5000 0.2872 [4 per cell]
3 Tl 0.5000 0.5000 0.0000 [1 per cell]
4 In 0.5000 0.5000 0.5000 [1 per cell]

* * * * *

(1)
# SmEr2Co2B2N3
Theoretical XRD peak list, Cu Kα X-rays. Input: a GGA-PBE-relaxed structure.

Principal peaks in the range 5° ≤ 2θ ≤ 70°, low angle first:
h k l  2theta  I (rel.)
1 0 3  28.99  100.0
1 0 5  34.20  74.9
0 0 8  35.95  49.6
1 1 0  36.58  40.5
1 1 2  37.71  33.4
1 1 4  40.94  37.8
2 0 0  52.69  35.3
2 0 8  65.44  33.1

Structure:
Cell: 3.4741 3.4741 19.9842 Å, 90.00 90.00 90.00°
Space group I4/mmm (No. 139)
One atom of each set of equivalent atoms:
1 Sm 0.0000 0.0000 0.0000 (multiplicity 2)
2 Er 0.0000 0.0000 0.3747 (multiplicity 4)
3 Co 0.0000 0.5000 0.2500 (multiplicity 4)
4 B 0.0000 0.0000 0.1947 (multiplicity 4)
5 N 0.0000 0.0000 0.1197 (multiplicity 4)
6 N 0.0000 0.0000 0.5000 (multiplicity 2)

=====

(2)
# TbErCo2B2N2
Theoretical XRD peak list, Cu Kα X-rays. Input: a GGA-PBE-relaxed structure.

Principal peaks in the range 5° ≤ 2θ ≤ 70°, low angle first:
h k l  2theta  I (rel.)
1 0 1  28.36  100.0
1 0 2  35.37  67.2
0 0 3  36.24  46.4
1 1 1  38.61  62.8
1 1 2  44.20  45.8
2 0 0  52.72  34.9
2 1 1  60.94  25.5
2 0 3  65.65  31.2

Structure:
Cell: 3.4727 3.4727 7.4367 Å, 90.00 90.00 90.00°
Space group P4mm (No. 99)
One atom of each set of equivalent atoms:
1 Tb 0.0000 0.0000 0.0000 (multiplicity 1)
2 Er 0.5000 0.5000 0.6641 (multiplicity 1)
3 Co 0.0000 0.5000 0.3320 (multiplicity 2)
4 B 0.0000 0.0000 0.4814 (multiplicity 1)
5 B 0.5000 0.5000 0.1808 (multiplicity 1)
6 N 0.0000 0.0000 0.6838 (multiplicity 1)
7 N 0.5000 0.5000 0.9771 (multiplicity 1)

* * * * *

Computed XRD peak list of LiAgSe for a wavelength of 1.5418 Å, from a crystal structure in OQMD, relaxed with PBE.
Neutral-atom scattering factors, no anomalous dispersion.

The 10 most intense peaks (10° ≤ 2θ ≤ 90°), sorted by position:
2theta	I_rel
12.9	100.0
25.4	51.3
33.7	74.7
39.5	17.9
40.9	92.3
44.4	39.4
46.4	16.0
51.8	14.0
60.9	19.0
79.3	25.2

Structural model:
a b c (Å): 5.7714 5.7728 13.7010
angles (deg): 90.00 90.00 90.00
Space group Cmce (No. 64)
Asymmetric unit:
Li (0.0000, 0.2453, 0.1706) (multiplicity 8)
Ag (0.2502, 0.0000, 0.0000) (multiplicity 8)
Se (0.0000, 0.2497, 0.3608) (multiplicity 8)

* * * * *

(1)
A survey is now available online for establishment owners totake regarding the grading policy and program enacted by the DOH.The results of the survey will provide the basis for the CityCouncil’s hearing, which is tentatively scheduled for March orApril.
The survey is available online atwww.surveymonkey.com/restaurantinspection and will be open untilJanuary 31.